DMPQ: Explain the following term: a) Biomagnification b) Bioremediation

Biomagnification:         Biomagnification refers to increase in concentration of the toxicant at successive trophic levels. This happens because a toxic substance accumulated by an organism cannot be metabolised or excreted, and is thus passed on to the next higher trophic level. This phenomenon is well known for mercury and DDT. Bioremediation:  Bioremediation is a biotechnical process, … Read more DMPQ: Explain the following term: a) Biomagnification b) Bioremediation

DMPQ: What are ethical issues attached with Biotechnology? Discuss in detail.

The progress of science in the 20th and 21st centuries exploded, creating technologies that reshaped society and extended lives. The pace of change was so great that it took society years to start asking questions about the ethics or morality of new developments. Now, humanity is at a major crossroads, where further investment in biotechnologies could change the way humans live … Read more DMPQ: What are ethical issues attached with Biotechnology? Discuss in detail.

DMPQ: Enumerate the difference between ballistic and cruise missile.

  Ballistic Cruise Launched directly into the high layers of the earth’s atmosphere A cruise is a guided missile that can destroy a target over long distance with high accuracy. Follows parabolic path Does not follow parabolic path It depends on gravity hence called ballistic. Does not depend upon gravity Classified by coverage Classified by … Read more DMPQ: Enumerate the difference between ballistic and cruise missile.

DMPQ: Explain the Concepts of air breathing propulsion and re-usable launch vehicle? How these two technology can be game changer for our quest for space?

Air breathing propulsion system: In order to provide thrust by the launch vehicles propellants are used. 70% of the constituent of propellant is oxidiser.  So air breathing propulsion system utilise the atmospheric oxygen as an oxidiser to burn the fuel. Ramjet, Scramjet and Dual Mode Ramjet (DMRJ) are the three concepts of air-breathing engines which … Read more DMPQ: Explain the Concepts of air breathing propulsion and re-usable launch vehicle? How these two technology can be game changer for our quest for space?

DMPQ: What are Chemical weapons? Give some examples.? List down the conventions against the use of chemical weapons.

## Molecular data that have nothing to do with the piece
1.
Here is 3 unconnected molecules or ions with the total composition C8H18O2 at a distorted geometry from OMol25. Energies are from wB97M-V/def2-TZVPD.

```
28
Properties=species:S:1:pos:R:3:nbo_charge:R:1
O -0.22 -3.56 -0.54 -0.92
O -1.09 -1.17 3.43 -0.93
C 1.63 2.32 -0.65 -0.61
C -0.32 0.59 0.75 0.01
C -0.92 -0.36 -1.55 -0.16
C -1.54 -1.35 -2.48 -0.67
C -0.84 -0.42 -0.23 -0.25
C -1.16 1.52 1.16 -0.41
C 2.19 1.20 0.23 -0.39
C 1.13 0.46 1.08 -0.45
H -1.28 -0.28 3.15 0.47
H -0.49 0.46 -2.11 0.19
H 2.77 0.48 -0.35 0.21
H 2.81 1.73 0.95 0.21
H 1.39 -0.61 1.00 0.21
H 1.32 3.17 -0.05 0.21
H -2.47 -0.91 -2.87 0.23
H 0.83 1.93 -1.28 0.20
H 1.19 0.65 2.16 0.21
H 2.33 2.59 -1.45 0.21
H -0.85 2.33 1.83 0.19
H -1.94 -2.26 -2.01 0.22
H -0.13 -1.15 3.57 0.46
H -0.34 -3.25 -1.44 0.46
H 0.09 -2.74 -0.15 0.46
H -2.19 1.60 0.86 0.21
H -0.87 -1.60 -3.30 0.22
H -1.02 -1.37 0.27 0.21
```

For the LUMO energy, the calculation gives 0.65 eV. Its HOMO energy is -9.687 eV. The HOMO-LUMO gap is 10.34 eV. The calculation puts the energy above the lowest of the compared OMol25 structures with the same formula, charge and spin at 2.588 eV. The total charge is 0. The SMILES is C=C(/C=C/C)CCC.O.O.

---

2.
Here is a molecular structure, C19H11Cl64GaNO from OMol25. Energies are from wB97M-V/def2-TZVPD.

```
97
Properties=species:S:1:pos:R:3:mulliken_charge:R:1
Ga 0.77 -6.83 4.41 0.49
Cl -1.27 6.42 1.08 -0.04
Cl 7.02 -12.69 -2.14 -0.11
Cl 1.22 -2.11 -0.59 -0.06
Cl -4.12 1.65 2.92 0.03
Cl -6.01 6.89 -0.29 -0.12
Cl -9.34 6.97 -1.03 -0.02
Cl -3.22 -1.36 2.73 -0.04
Cl -0.09 2.81 -3.42 -0.11
Cl -9.90 6.83 -8.22 -0.10
Cl 1.50 7.21 1.17 -0.08
Cl -5.29 4.10 3.88 -0.09
Cl 4.63 -4.47 4.28 -0.02
Cl 0.14 6.35 3.58 -0.10
Cl 1.62 0.75 -0.59 -0.04
Cl -4.14 0.93 -6.50 -0.09
Cl -5.78 5.03 -2.51 0.00
Cl 3.35 4.72 4.20 -0.08
Cl -11.92 8.07 -1.73 -0.11
Cl 8.05 -10.05 -1.58 -0.11
Cl 0.50 -0.55 1.73 -0.02
Cl 8.96 -1.43 3.36 -0.11
Cl 2.57 4.56 -1.98 0.05
Cl 5.59 -10.36 -3.06 -0.10
Cl -7.09 4.22 -0.05 -0.12
Cl -3.61 3.75 -6.23 0.06
Cl 0.79 4.44 1.53 0.18
Cl -4.23 4.62 -0.16 0.09
Cl -2.59 -3.42 0.81 -0.09
Cl -7.73 5.46 -6.88 0.02
Cl -1.68 5.25 -9.00 -0.09
Cl 4.31 5.32 0.20 0.00
Cl 7.70 -6.11 2.73 0.00
Cl 7.49 0.88 4.25 -0.03
Cl -2.45 3.65 4.13 -0.04
Cl 9.56 -8.08 3.73 -0.13
Cl 6.11 3.93 4.55 -0.11
Cl 6.84 -1.70 5.32 -0.03
Cl 5.67 -10.98 -0.25 -0.07
Cl -0.71 5.43 -6.28 0.00
Cl 3.99 2.24 5.53 -0.07
Cl -1.45 -3.55 3.45 -0.03
Cl -5.76 2.83 -7.92 -0.08
Cl -7.53 6.07 -9.68 -0.11
Cl -4.27 -4.02 3.07 -0.11
Cl -9.97 7.52 -3.78 -0.06
Cl 3.18 -2.90 2.37 0.00
Cl -2.92 2.44 -3.04 0.02
Cl -1.79 5.10 -3.03 -0.10
Cl 4.53 -5.32 1.53 -0.04
Cl 8.14 -8.55 1.26 -0.04
Cl 3.78 7.18 -1.94 -0.10
Cl 1.14 5.54 -8.48 -0.11
Cl -1.06 -0.34 -0.69 -0.04
Cl 6.72 -8.60 3.76 -0.08
Cl -4.30 2.14 5.75 -0.10
Cl 6.06 -2.99 2.25 -0.06
Cl -5.94 2.61 -5.02 -0.07
Cl -7.40 8.20 -7.74 -0.10
Cl -9.55 9.70 -1.94 -0.11
Cl 5.41 4.85 -2.42 -0.11
Cl 9.34 -0.44 6.04 -0.12
Cl -1.26 3.29 -0.84 0.24
Cl 4.42 2.49 2.70 0.00
Cl -0.65 7.75 -7.99 -0.10

Chemical weapons are specialised weapons that deliver chemicals that inflict death or injury on humans through chemical actions. They are also called poor man’s bomb because they are relatively cheap and easy to produce. Example of chemical weapons are mustard gas, phosgene, chlorine and nerve agents sarin and VX.           Sarin: The UN had confirmed … Read more DMPQ: What are Chemical weapons? Give some examples.? List down the conventions against the use of chemical weapons.

DMPQ: What is Integrated Guided Missile Development programmes?

The Integrated Guided Missile Development Programme (IGMDP) was conceived by renowned scientist Dr. A P J Abdul Kalam to enable India attain self-sufficiency in the field of missile technology. The following are the Key components of the Programme:   Short-range surface-to-surface ballistic missile Prithvi-The Prithvi missile is a family of tactical surface-to-surface short-range ballistic missiles … Read more DMPQ: What is Integrated Guided Missile Development programmes?

DMPQ: Write in 50 words about each of the following: a) Brahmos B) Nirbhaya c) Cannister launch missile system

Q.    What is cannister launch missile system. Ans. Cannister based launch system serve as a container for transportation and it is always easy to carry missiles in canister. It act as a housing during storage abroad a vessel. This system will give the forces the operational flexibility to promptly transport ballistic missile and launch … Read more DMPQ: Write in 50 words about each of the following: a) Brahmos B) Nirbhaya c) Cannister launch missile system

DMPQ: What are allotropes? Discuss the allotropes of carbon with their features.

Allotrope: An element, in different forms, having different physical properties but similar chemical properties is known as allotropes of that element. Carbon has three well known allotropes which are graphite, diamond and buck minster fullerene. These are formed by carbon atoms. Following are the allotropes of carbon: Graphite:  Each carbon atom is bonded to three other carbon atoms … Read more DMPQ: What are allotropes? Discuss the allotropes of carbon with their features.

DMPQ: Higher teledensity will help to solve various problems. In light of this discuss the recently drafted National telecom policy.

The national telecom policy in work will focus on complete transition of the country from physical to digital infrastructure, with norms to push availability of high speed and uninterrupted broadband services in mission mode.   One of the key strategies in the draft talks of recognising spectrum as a key natural resources for public benefit … Read more DMPQ: Higher teledensity will help to solve various problems. In light of this discuss the recently drafted National telecom policy.

DMPQ: Discuss the role played by DRDO in Life science field. 

DRDO has played a stellar role since its inception in 1958. Having established a sound ecosystem and supported by a large pool of committed manpower, we have today a proven competence to produce strategic and state-of-the-art tactical military hardware and related technologies, in diverse disciplines covering Aeronautics, Missiles, Naval Systems, Armament & Combat Engineering, Electronics, … Read more DMPQ: Discuss the role played by DRDO in Life science field.